
Wednesday, March 20, 2013

I'm Just a Girl

ESR student Jodi Jones offers a reflection on Peter Rollins’ new book, The Idolatry of God. Rollins will be on campus at ESR as the keynote speaker for our annual Willson Lectures on April 8.

Take this pink ribbon off my eyes
I'm exposed
And it's no big surprise
Don't you think I know
Exactly where I stand
This world is forcing me
To hold your hand
'Cause I'm just a girl, little 'ol me
Don't let me out of your sight
I'm just a girl, all pretty and petite
So don't let me have any rights
No Doubt, I’m Just a Girl

In the US, women have earned the right to die on the battlefield. They have not only proven themselves as competent, but also as having a unique perspective and having something distinctive to add to the conversation. As theologians they have shown themselves to be intelligent, witty, and pioneers in new ways of thinking. Yet, the world still tries to force us to hold the hand of the people in power. While the American woman has overcome much of the hard power oppression, the soft power still creeps forward in insidious ways. One of those ways came to my attention last week as I prepared for our Willson lecturer, Peter Rollins.

I recently began to read Peter Rollins’ book The Idolatry of God in preparation for his upcoming visit. My interest in his work was centered on his assertion that faith is in “embrac[ing] our brokenness” and in “accept[ing] the difficulties of existence” (Rollins, back cover), which I felt I could apply to my chaplaincy. I was only a few pages into his book when I was overcome with feelings that I can only describe as rage and humiliation. The emergence of these feelings centered on a story Rollins’ uses to explain creatio ex nihilo.  The story is one in which a man tricks his friend’s wife into reluctantly exposing her naked body to him for four hundred dollars (Rollins, 10-11).

The sting of these feelings continued when Rollins used two more misogynistic examples without apology. In a milder instance, Rollins uses Immanuel Kant’s example of a man’s desire to sleep with a woman to be heightened by an obstacle (Rollins, 29). This is followed by an example where a woman remains in a destructive relationship with “someone who is highly respected” so that she can “get a form of pleasure from other people…wishing they were in her position” (Rollins, 40). While the last two cases of sexism are less impactful, in light of the first story they build upon a negative view of women in general.   It is a view in which women are sexual objects to be manipulated and in which they are manipulative. Thus far, forty pages into the book, I have not read a positive view of women in Rollins’ book that offsets the growing negative view. Disturbingly, it seems as if Rollins is unaware of his sexist views.

Let me tell you very briefly about the women I know. None of them have a pink ribbon over their eyes, and very few of them have had anyone who holds their hands. They have made it in a world as single moms, as deeply caring pastors or chaplains, as teachers and students, as people who will scratch and climb and stumble toward success not just for themselves, but for others. They are women who, even after months or years of demeaning abuse, will find the strength to get out of destructive relationships even if it means being homeless for a while. They are, in brief, women who would eat rice and beans month after month before they would reluctantly expose themselves to a power hungry neighbor.

Now, let me tell you briefly about some of the men I know. They care deeply for myriad causes, their heads rear back in disgust when I read them the sexist drivel I have alluded to above, they are people who love and want to be loved. They have sacrificed greatly in service to their beliefs and to others. And, as far as I know, they would eat rice and beans month after month so they could give their desperate neighbor much needed money.

And, there is the crux of sexism. It creates a world where women and men are belittled. It creates caricatures of people who love, who make mistakes, and who imperfectly stumble toward God. It has not, though, brought about the Kin-dom of God. It has not honored all as the beloved children of God that we know ourselves to be.

I will change the lyrics of No Doubt’s song just slightly: I know exactly where I stand/this world [cannot force me to hold your hand]. That change represents the joy and transformation of living in the Light of God. As an American woman, I have freedoms other women in the world do not have. I am able to choose a counter-culture stance where I value all of God’s good creation to the best of my ability. But, I do not stop there. I continue to love even as I am hurt. I continue to make myself vulnerable even as it deeply scares me. I continue to believe that God’s Kin-dom is in the here and now and that together we can make a change.

This reflection is meant to only be the beginning of a conversation. I wonder, for example, to what extent a person’s message is tainted by the messenger. After all, none of us claims perfection, and we all write and speak from our own context. How do we live out the testimonies of peace, integrity, and equality in situations where someone is a little racist, sexist, homophobic, and/or elitist? What about when they are blatantly racist, sexist, etc.? In a recent email, [ESR Dean] Jay Marshall expressed the desire to have a community-wide discussion about how Rollins ties what Christians believe and what they say and do with themes such as social justice and realized eschatology. For those who have read his books, how do you perceive his message in connection to the reflections above?

As I said, I am intending this to be the beginning of a conversation. What are your thoughts? What are your questions?


  1. There are certainly other times when Rollins mentions women. See also between pg 29 and pg 40 where Rollins brings up examples of women from the Bridges of Madison County and pg 35-37 and 1 Kings 3:16-28 on pg 38-39. Rollins description of Francesca in the Bridges of Madison County seems sympathetic and despite having moral failings along the way, in the end, Francesca makes the moral decision. The story of the two mothers and the baby before King Solomon contains two women one who seems more worthy than the other, but Rollins can hardly be blamed for this particular story.

    Throughout The Idolatry of God, Rollins makes a point to try to reach beyond his own culturally limited, male perspective by doing things like making a point of using inclusive language and including female as well as male examples. If his greatest failing in this book is one lousy joke about a man deceiving a woman and being revealed as a cad, then it seems that feminism really is having an impact on society.

    Rollins is clearly making an effort to reach out to women even if he's failing at being fair to women. Moreover, what Rollins needs from us for him to have a chance to grow is not shunning and shutting down the conversation. Instead, let us offer critique that responds to his work as a whole both calling him to account where he is lacking and crediting him where he succeeds.

    Perhaps Ms. Jones would find Insurrection more to her liking where Rollins points toward believers who choose "a life of faith that transcends mere dogmatic affirmations and...involves an ongoing transformation by love, in love, toward love" (42). Further, "we learn that God is present in the very act of love itself...we discover the divine in our very act of loving the world. God is loved through the work of love itself (Matthew 18:20, 1 John 4:20). It is in love that we find new meaning, joy, and fulfillment" (118).

    In Insurrection Rollins also calls us to move beyond the foolishness of Batman, that is, to change systems (Bruce Wayne could invest in his community) and not merely fight against symptoms (beating up criminals). This is would be serious change.

Data records that have nothing to do with the piece:
=====
(1)
C39H78O18S7Si2 | ωB97M-V/def2-TZVPD

Properties
spin multiplicity: 1
calculated total energy: -170154.708 eV
LUMO level: 0.16 eV
Kohn-Sham gap: 7.0 eV
HOMO: -6.8 eV
charge: 0

Last column: Löwdin charge in e.
Geometry (Å):
C1 -0.85217 1.17624 3.27436  -0.082
C2 0.11121 0.97583 2.21897  -0.202
C3 0.15100 -0.23880 1.17275  -0.285
Si1 -1.54830 -1.09991 0.87259  0.620
O1 -2.10405 -0.87704 -0.78950  -0.492
Si2 -3.09465 0.57394 -0.90552  0.565
C4 -4.70600 0.17170 0.07109  -0.229
C5 -6.04916 0.22696 -0.86173  -0.215
O2 -7.03163 1.06705 -0.19262  -0.073
C6 -7.88376 0.32191 0.65517  -0.356
O3 -7.55868 -0.81270 1.12129  0.022
C7 -9.32063 0.88416 1.13723  -0.126
C8 -9.48660 2.47821 0.92834  -0.123
C9 -2.07414 2.01635 -0.18266  -0.191
C10 -2.66451 3.48876 -0.85816  -0.234
C11 -1.70900 4.83228 -0.50821  -0.012
O4 -3.14380 4.51760 0.14293  -0.224
H1 -0.84879 0.60244 4.27128  0.055
H2 -1.65528 1.99949 3.14214  0.055
H3 0.91196 1.80558 2.09053  0.065
H4 0.44785 0.22858 0.15308  0.086
H5 0.97556 -0.97495 1.46693  0.067
H6 -2.61871 -0.62513 1.75815  -0.010
H7 -1.30612 -2.55231 1.03345  -0.025
H8 -3.49891 0.84541 -2.28660  0.009
H9 -4.69461 -0.90120 0.50028  0.084
H10 -4.82751 0.87077 0.97048  0.099
H11 -5.77198 0.76203 -1.84175  0.103
H12 -6.42339 -0.81024 -1.15169  0.133
H13 -10.19060 0.32711 0.61669  0.125
H14 -9.46690 0.69611 2.26851  0.122
H15 -10.48067 2.70030 0.40272  0.072
H16 -9.53181 3.01194 1.94413  0.075
H17 -8.65318 2.96237 0.31870  0.073
H18 -2.19334 2.19408 0.93677  0.070
H19 -0.95776 1.98716 -0.48000  0.095
H20 -3.17085 3.43620 -1.94642  0.124
H21 -1.01343 4.59412 0.37407  0.078
H22 -2.09668 5.87526 -0.76936  0.113
C12 -2.56281 -1.77996 -6.14568  -0.222
C13 -1.83104 -3.06879 -5.76712  -0.221
C14 -0.69605 -2.68953 -4.81507  -0.219
S1 -1.22549 -1.20154 -3.97132  0.684
O5 -0.35439 -0.11390 -4.36358  -0.329
O6 -1.49970 -1.50805 -2.58110  -0.359
C15 -2.77526 -1.02567 -4.83958  -0.241
H23 -3.51023 -1.98438 -6.64932  0.115
H24 -1.93969 -1.18724 -6.82368  0.119
H25 -2.52622 -3.74677 -5.26039  0.120
H26 -1.44879 -3.58947 -6.64676  0.083
H27 -0.50780 -3.47329 -4.08080  0.108
H28 0.22235 -2.46142 -5.35917  0.097
H29 -3.00271 0.03039 -4.98537  0.099
H30 -3.55224 -1.49798 -4.23398  0.110
C16 -0.82334 -4.66572 5.38279  -0.216
C17 -1.00368 -5.71923 4.28794  -0.214
C18 -0.69916 -5.04565 2.94830  -0.219
S2 0.45688 -3.72704 3.30330  0.670
O7 -0.18663 -2.46428 3.02637  -0.381
O8 1.75242 -4.06940 2.75869  -0.325
C19 0.49317 -3.96667 5.07078  -0.226
H31 -0.81339 -5.11344 6.37874  0.118
H32 -1.64810 -3.94676 5.34294  0.123
H33 -0.30071 -6.54213 4.45493  0.118
H34 -2.01066 -6.14223 4.29616  0.118
H35 -0.24721 -5.74190 2.24104  0.108
H36 -1.59498 -4.60082 2.51128  0.100
H37 0.59969 -3.00607 5.57453  0.115
H38 1.34473 -4.60983 5.30265  0.079
C20 4.32974 -4.73161 5.17765  -0.230
C21 5.85500 -4.83358 5.11724  -0.214
C22 6.36799 -4.90359 6.55715  -0.226
S3 5.05494 -5.64489 7.52060  0.667
O9 4.56037 -4.66244 8.45773  -0.323
O10 5.45676 -6.97033 7.93358  -0.326
=====

    Perhaps a good place to end is to point out that Rollins believes that all of us should be called to account for every one of our actions. For him it's not that we don't live up to our values, but that our actions show that we have beliefs and desires that we do not like to admit. Calling Rollins out on where he falls short will take away his "gap between perception and reality" just as Rollins calls each of us to do for ourselves. Teach him by staying in conversation.

  2. As I don't have a copy of this book, is there a way to post an excerpt of what you take issue with? I'd like to read it for myself and within context. I'd also be interested in a follow-up to this piece once you've had a chance to have a discussion with Rollins.

    1. Here is the story which Jodi cites from pages 10-11 of Peter Rollins' The Idolatry of God: Breaking Our Addiction to Certainty and Satisfaction:

      "There was once a young woman who, late one evening, was taking a shower when the doorbell rang. Knowing that her husband was dozing in the upstairs bedroom she quickly wrapped herself in a towel and ran to the door. When she opened it she was greeted by her next-door neighbor Joe.

      Upon seeing her wearing nothing but a towel Joe pulled four hundred dollars from his back pocket, looked her in the eye, and said, 'I have always been attracted to you. What do you say to the following indecent proposal? If I were to offer you this four hundred dollars right now, would you drop the towel for me?'

      After a moment's reflection, she reluctantly agreed, dropped the towel, and let him look at her naked body. True to his worrd, Joe gave her the money and left.

      Picking up the towel she hd the money and then went up to the bedroom. As she entered the room, her husband woke up and asked, "Did the doorbell ring a few minutes ago?"

      'Oh, yes,' replied the woman. 'It was just Joe from next door.'

      'Great! Did he give you the four hundred dollars he owes me?'

      Here we witness a type of "creatio ex nihilo at work, for the neighbor Joe has nothing to offer except the illusion of something (four hundred dollars that is not his), but this illusion generates the desired effect -- the woman exposing her body. Nothing was made to look like something and created a result.

      So how can this idea of nothing creating something help us understand the dissatisfaction that seems so much a part of human life?"

  3. "In the US, women have earned the right to die on the battlefield...."

    This is something to be lauded?

  4. I have been finding it very interesting and useful to read Peter Rollins' work, and am encouraging students and others to take part in the April 8-9 lectures and discussions of it at ESR. But I am also disappointed in the sexism of some of the examples in his most recent book, The Idolatry of God: Breaking Our Addiction to Certainty and Satisfaction, which are cited in Jodi Jones' post. I have been thinking more about that infuriating story which he used to illustrate "creatio ex nihilo", and decided to give it a new ending.

    ". . . The woman, realizing that Joe was even a greater weasel than she had been aware, thought quickly and said to her husband, 'No, you weren't available. Joe didn't give me your $400; you'll have to get that from him later.' "

    Joe made a contract with the woman (by his slimy offer), so he then owed her the $400 in payment for revealing her body to him. Thus the money ceased to be the repayment of the debt Joe owed the husband. Joe still owed $400 to the husband, because the money he brought over now belongs to the wife, since Joe used it for a different purpose (satisfaction of his prurient desire to see her unclothed) rather than for repayment of the debt. If he took a detour on the way to the house and bought a fancy $400 ski jacket, the money would no longer available to repay his debt to the husband, but in this case right there in the house Joe obligated the money elsewhere.

    This ending puts the power back in the woman's hands. She ceases to be a victim of Joe (and perhaps also of her husband, by whom she was inadvertently made vulnerable to Joe by his keeping his loan to Joe a secret from her.) She has also "made something from nothing" (Rollins' point of the story) by quickly turning Joe's deception of her into a further cost to him. She holds Joe accountable for the fact that he made two different deals with two different people.

  5. I like this ending, Stephanie!

    OK- earlier this morning I posted a long reply back to Josie. Looks like I forgot to select the "publish" button below. :-(

    May try again later.

